Given
- - -
# 1
Density functional theory data (PBE with a Hubbard U) for a relaxed structure of Cu2NiSnO4.

Unit cell a=5.421 b=6.879 c=6.409 alpha=117.78 beta=90.01 gamma=105.43
Atoms (fractional coordinates):
Cu 0.500 0.000 0.750
O 0.389 0.679 0.589
Ni 0.500 0.500 0.750
Sn 0.000 0.500 0.000
Cu 0.000 0.000 0.000
Ni 0.500 0.500 0.250
O 0.105 0.318 0.659
Cu 0.500 0.000 0.250
O 0.389 0.679 0.089
Sn 0.000 0.500 0.500
O 0.895 0.682 0.841
O 0.611 0.321 0.411
Cu 0.000 0.000 0.500
O 0.105 0.318 0.159
O 0.895 0.682 0.341
O 0.611 0.321 0.911



# 2
Density functional theory data (PBE with a Hubbard U) for a relaxed structure of Sr2YCu2NiO7.

Unit cell a=12.182 b=12.182 c=12.182 alpha=154.26 beta=153.82 gamma=37.04
Atoms (fractional coordinates):
O 0.805 0.819 0.501
Ni 0.320 0.722 0.542
O 0.689 0.701 0.519
Sr 0.336 0.359 0.001
O 0.366 0.370 0.235
Cu 0.571 0.084 0.510
Sr 0.858 0.859 0.023
Sr 0.664 0.665 0.023
O 0.283 0.858 0.492
O 0.195 0.695 0.013
Ni 0.680 0.222 0.402
O 0.717 0.209 0.575
O 0.682 0.201 0.012
O 0.311 0.830 0.012
Cu 0.074 0.584 0.513
O 0.818 0.319 0.013
O 0.134 0.709 0.492
O 0.634 0.870 0.004
O 0.182 0.195 0.501
Sr 0.142 0.165 0.001
Y 0.500 0.510 0.010
O 0.866 0.358 0.575
Cu 0.926 0.439 0.510
O 0.318 0.330 0.519
Cu 0.429 0.939 0.513
Y 0.000 0.010 0.010

Values from the calculation:
- SG = Ima2, No. 46



# 3
Density functional theory data (PBE with a Hubbard U) for a relaxed structure of V2Cu3NiO6.

Unit cell a=5.299 b=7.393 c=7.393 alpha=104.26 beta=82.89 gamma=97.11
Atoms (fractional coordinates):
Cu 0.002 0.667 0.666
O 0.069 0.828 0.506
O 0.444 0.331 0.649
V 0.250 0.748 0.248
Cu 0.495 0.497 0.495
O 0.539 0.658 0.336
O 0.942 0.507 0.826
Cu 0.005 0.996 0.997
V 0.250 0.085 0.585
V 0.750 0.583 0.083
O 0.961 0.836 0.158
Cu 0.006 0.336 0.338
Cu 0.498 0.166 0.167
O 0.056 0.149 0.831
Cu 0.494 0.838 0.836
O 0.558 0.326 0.007
O 0.056 0.503 0.185
Ni 0.250 0.417 0.917
Ni 0.750 0.917 0.417
O 0.444 0.685 0.003
O 0.539 0.997 0.675
O 0.431 0.006 0.328
V 0.750 0.250 0.750
O 0.961 0.175 0.497

Values from the calculation:
- SG = C2/m, No. 12



# 4
Density functional theory data (PBE with a Hubbard U) for a relaxed structure of V4CuNiO12.

Unit cell a=6.656 b=11.900 c=6.656 alpha=104.05 beta=95.97 gamma=75.96
Atoms (fractional coordinates):
O 0.813 0.322 0.033
O 0.643 0.280 0.374
O 0.345 0.225 0.628
O 0.625 0.111 0.912
O 0.033 0.928 0.813
O 0.376 0.884 0.081
O 0.345 0.725 0.628
O 0.206 0.164 0.965
V 0.613 0.379 0.204
O 0.081 0.867 0.376
O 0.912 0.139 0.625
V 0.391 0.617 0.788
V 0.204 0.371 0.613
V 0.788 0.633 0.391
O 0.373 0.470 0.643
Ni 0.920 0.125 0.920
V 0.204 0.871 0.613
O 0.628 0.525 0.345
O 0.081 0.366 0.376
O 0.643 0.780 0.373
O 0.911 0.639 0.625
V 0.789 0.133 0.391
O 0.374 0.970 0.643
O 0.965 0.586 0.206
O 0.625 0.611 0.911
Ni 0.920 0.625 0.920
O 0.376 0.383 0.081
O 0.965 0.086 0.206
Cu 0.084 0.876 0.084
Cu 0.084 0.375 0.084
V 0.391 0.117 0.789
O 0.813 0.822 0.033
O 0.206 0.664 0.965
O 0.033 0.428 0.814
O 0.628 0.025 0.345
V 0.613 0.879 0.203

Values from the calculation:
- SG = C2, No. 5



# 5
Density functional theory data (PBE with a Hubbard U) for a relaxed structure of V2Cu3NiO6.

Unit cell a=5.254 b=5.253 c=11.676 alpha=94.55 beta=85.46 gamma=60.49
Atoms (fractional coordinates):
V 0.251 0.751 0.250
Cu 0.997 0.997 0.000
Ni 0.416 0.916 0.750
O 0.226 0.099 0.340
O 0.726 0.599 0.840
Cu 0.497 0.497 0.500
Ni 0.916 0.416 0.250
O 0.398 0.285 0.840
O 0.599 0.726 0.160
Cu 0.838 0.838 0.500
O 0.285 0.398 0.160
Cu 0.338 0.338 0.000
V 0.750 0.250 0.750
O 0.534 0.458 0.340
O 0.898 0.785 0.340
V 0.584 0.084 0.250
O 0.785 0.898 0.660
Cu 0.664 0.664 0.000
Cu 0.164 0.164 0.500
V 0.084 0.584 0.750
O 0.099 0.226 0.660
O 0.034 0.958 0.840
O 0.458 0.534 0.660
O 0.958 0.034 0.160



# 6
Density functional theory data (PBE with a Hubbard U) for a relaxed structure of YCu3Ni4O12.

Unit cell a=6.299 b=6.299 c=6.299 alpha=109.47 beta=109.47 gamma=109.47
Atoms (fractional coordinates):
O 0.862 0.169 0.694
Cu 0.000 0.500 0.500
O 0.306 0.475 0.169
- - -

Job
Please transcribe the data further up from the first line to the one with "0.338 0.338" exactly.

Done
# 1
Density functional theory data (PBE with a Hubbard U) for a relaxed structure of Cu2NiSnO4.

Unit cell a=5.421 b=6.879 c=6.409 alpha=117.78 beta=90.01 gamma=105.43
Atoms (fractional coordinates):
Cu 0.500 0.000 0.750
O 0.389 0.679 0.589
Ni 0.500 0.500 0.750
Sn 0.000 0.500 0.000
Cu 0.000 0.000 0.000
Ni 0.500 0.500 0.250
O 0.105 0.318 0.659
Cu 0.500 0.000 0.250
O 0.389 0.679 0.089
Sn 0.000 0.500 0.500
O 0.895 0.682 0.841
O 0.611 0.321 0.411
Cu 0.000 0.000 0.500
O 0.105 0.318 0.159
O 0.895 0.682 0.341
O 0.611 0.321 0.911



# 2
Density functional theory data (PBE with a Hubbard U) for a relaxed structure of Sr2YCu2NiO7.

Unit cell a=12.182 b=12.182 c=12.182 alpha=154.26 beta=153.82 gamma=37.04
Atoms (fractional coordinates):
O 0.805 0.819 0.501
Ni 0.320 0.722 0.542
O 0.689 0.701 0.519
Sr 0.336 0.359 0.001
O 0.366 0.370 0.235
Cu 0.571 0.084 0.510
Sr 0.858 0.859 0.023
Sr 0.664 0.665 0.023
O 0.283 0.858 0.492
O 0.195 0.695 0.013
Ni 0.680 0.222 0.402
O 0.717 0.209 0.575
O 0.682 0.201 0.012
O 0.311 0.830 0.012
Cu 0.074 0.584 0.513
O 0.818 0.319 0.013
O 0.134 0.709 0.492
O 0.634 0.870 0.004
O 0.182 0.195 0.501
Sr 0.142 0.165 0.001
Y 0.500 0.510 0.010
O 0.866 0.358 0.575
Cu 0.926 0.439 0.510
O 0.318 0.330 0.519
Cu 0.429 0.939 0.513
Y 0.000 0.010 0.010

Values from the calculation:
- SG = Ima2, No. 46



# 3
Density functional theory data (PBE with a Hubbard U) for a relaxed structure of V2Cu3NiO6.

Unit cell a=5.299 b=7.393 c=7.393 alpha=104.26 beta=82.89 gamma=97.11
Atoms (fractional coordinates):
Cu 0.002 0.667 0.666
O 0.069 0.828 0.506
O 0.444 0.331 0.649
V 0.250 0.748 0.248
Cu 0.495 0.497 0.495
O 0.539 0.658 0.336
O 0.942 0.507 0.826
Cu 0.005 0.996 0.997
V 0.250 0.085 0.585
V 0.750 0.583 0.083
O 0.961 0.836 0.158
Cu 0.006 0.336 0.338
Cu 0.498 0.166 0.167
O 0.056 0.149 0.831
Cu 0.494 0.838 0.836
O 0.558 0.326 0.007
O 0.056 0.503 0.185
Ni 0.250 0.417 0.917
Ni 0.750 0.917 0.417
O 0.444 0.685 0.003
O 0.539 0.997 0.675
O 0.431 0.006 0.328
V 0.750 0.250 0.750
O 0.961 0.175 0.497

Values from the calculation:
- SG = C2/m, No. 12



# 4
Density functional theory data (PBE with a Hubbard U) for a relaxed structure of V4CuNiO12.

Unit cell a=6.656 b=11.900 c=6.656 alpha=104.05 beta=95.97 gamma=75.96
Atoms (fractional coordinates):
O 0.813 0.322 0.033
O 0.643 0.280 0.374
O 0.345 0.225 0.628
O 0.625 0.111 0.912
O 0.033 0.928 0.813
O 0.376 0.884 0.081
O 0.345 0.725 0.628
O 0.206 0.164 0.965
V 0.613 0.379 0.204
O 0.081 0.867 0.376
O 0.912 0.139 0.625
V 0.391 0.617 0.788
V 0.204 0.371 0.613
V 0.788 0.633 0.391
O 0.373 0.470 0.643
Ni 0.920 0.125 0.920
V 0.204 0.871 0.613
O 0.628 0.525 0.345
O 0.081 0.366 0.376
O 0.643 0.780 0.373
O 0.911 0.639 0.625
V 0.789 0.133 0.391
O 0.374 0.970 0.643
O 0.965 0.586 0.206
O 0.625 0.611 0.911
Ni 0.920 0.625 0.920
O 0.376 0.383 0.081
O 0.965 0.086 0.206
Cu 0.084 0.876 0.084
Cu 0.084 0.375 0.084
V 0.391 0.117 0.789
O 0.813 0.822 0.033
O 0.206 0.664 0.965
O 0.033 0.428 0.814
O 0.628 0.025 0.345
V 0.613 0.879 0.203

Values from the calculation:
- SG = C2, No. 5



# 5
Density functional theory data (PBE with a Hubbard U) for a relaxed structure of V2Cu3NiO6.

Unit cell a=5.254 b=5.253 c=11.676 alpha=94.55 beta=85.46 gamma=60.49
Atoms (fractional coordinates):
V 0.251 0.751 0.250
Cu 0.997 0.997 0.000
Ni 0.416 0.916 0.750
O 0.226 0.099 0.340
O 0.726 0.599 0.840
Cu 0.497 0.497 0.500
Ni 0.916 0.416 0.250
O 0.398 0.285 0.840
O 0.599 0.726 0.160
Cu 0.838 0.838 0.500
O 0.285 0.398 0.160
Cu 0.338 0.338 0.000